Coronavirus: You Can’t Always See How to Cope

Coronavirus: You Can’t Always See How to Cope

The coronavirus pandemic hit the world like a wobbly boxer in a championship fight who never saw the haymaker that decked him.

Now, the 9-11 terrorist attacks were stunning. But seeing most stores, restaurants, and schools currently closed, and friends reluctant to stop by for fear of spreading the virus, is a different kind of shock.

It’s like the quiet dread in a bad monster movie, where a silent killer is on the loose.

I especially feel bad for people like the young couple from our church. She lost her waitressing job when her employer shut down its dining room.

What’s worse, with unemployment based on her official salary—no consideration given to tips that made pay much higher—her compensation is like a bad joke.

Grappling with Coronavirus Setbacks

Until our nation gets a handle on this threat, which may not happen any time soon, millions will be grappling with similar, daunting odds.

Yet in the midst of dire situations, we need to remember that good things happen too.

Someone pasted data records at this point:
********
#one
A 5-piece molecular cluster, C6H21NO4 overall. Source: the Open Molecules 2025 dataset; level of theory: ωB97M-V/def2-TZVPD.

For the gap between HOMO and LUMO, the calculation gives 10.055 eV. Its LUMO energy is 0.73 eV. The calculation puts the highest occupied orbital energy at -9.3 eV. The SMILES is C=C(CC)CCN.O.O.O.O.

Element x y z (Å)
O -1.09845 -1.69244 -2.78359
O 0.89523 0.11153 -3.37851
O -1.62123 3.11606 -0.05658
O -1.22060 1.04428 -1.82455
N -2.02486 0.42739 1.07650
C -0.98309 0.30387 2.09802
C 0.94216 -2.31363 0.27501
C -0.13022 -0.96832 2.04520
C 1.51331 0.08015 0.33422
C 2.72269 0.37747 1.23383
C 0.75883 -1.11881 0.82922
H -0.38370 1.00703 -2.33490
H -1.66361 0.30813 0.13091
H 2.43567 0.56750 2.26781
H 0.87920 0.96694 0.28897
H 3.40812 -0.47118 1.22331
H -2.79893 -0.20507 1.25466
H 3.26322 1.23723 0.83584
H -1.52485 -0.91794 -2.37099
H 0.50677 -0.98707 2.93745
H -1.26981 1.88766 -1.32812
H 0.32445 -0.69309 -3.29213
H 1.59732 -2.49845 -0.57063
H -2.45548 3.51016 -0.35293
H -1.87189 2.45219 0.62853
H -0.77825 -1.84573 2.09741
H 1.85803 -0.07248 -0.68824
H -0.77828 -2.21742 -2.03831
H 0.46030 -3.21872 0.63655
H -0.33735 1.18211 2.07698
H 0.85842 0.30566 -4.31792
H -1.48312 0.33500 3.06698

=====

#two
A 5-piece molecular cluster, C6H21NO4 overall. Source: the Open Molecules 2025 dataset; level of theory: ωB97M-V/def2-TZVPD.

For the gap between HOMO and LUMO, the calculation gives 9.455 eV. Its LUMO energy is 0.59 eV. The calculation puts the highest occupied orbital energy at -8.9 eV. The SMILES is C=C(CCC)NC.O.O.O.O.

Element x y z (Å)
O -2.71201 -0.55583 0.46924
O 1.03615 4.05228 -0.72502
O -1.93374 -1.21657 2.95862
O 0.59352 -1.95685 2.40513
N -0.58973 -1.31908 -1.53243
C 0.35219 1.15122 0.39983
C 1.66005 -1.65534 -0.77699
C 0.67925 -0.81866 -1.15186
C -1.23601 -0.65871 -2.68597
C 0.82156 0.65487 -1.00398
C 1.47542 1.04817 1.44055
H 1.65828 3.30258 -0.49964
H -0.59859 -2.35000 -1.68239
H 1.82993 0.02728 1.52125
H 2.55554 -1.32669 -0.32859
H 0.25211 1.22082 -1.78840
H 0.50103 -1.79395 1.47455
H -2.72834 0.36364 0.36532
H 1.11006 1.43583 2.38854
H -2.23144 -1.17392 -2.95538
H -2.21072 -0.96340 2.01732
H -0.02194 2.17916 0.33416
H 1.82989 0.92354 -1.16624
H -2.39862 -1.95200 3.18402
H -1.45188 0.45774 -2.48972
H 1.21484 4.69832 -0.12773
H -0.50818 0.55305 0.68394
H -2.02461 -0.87487 -0.14376
H -0.27693 -1.65399 2.73550
H 1.64478 -2.72159 -0.89050
H -0.65182 -0.71976 -3.61981
H 2.35997 1.64272 1.19044

=====

Which one sits at the bottom of the stability order? #two does.

=====

#one
A 2-piece molecular cluster, C2H9O2 overall. Source: the Open Molecules 2025 dataset; level of theory: ωB97M-V/def2-TZVPD.

For the gap between HOMO and LUMO, the calculation gives 13.554 eV. Its LUMO energy is -3.66 eV. As for the net charge: +1. The calculation puts the highest occupied orbital energy at -17.2 eV.

Element x y z (Å)
O 0.68673 0.87626 -0.36072
O 0.03008 -0.54028 -2.34621
C -0.19493 0.83497 0.98691
C -0.17290 -0.56363 1.42376
********

I saw that recently when an old friend from Louisville sent me a greeting to catch up, since we hadn’t talked or emailed for a while.

“This is a new experience for most of us, and definitely a new experience for me to be considered in a ‘high risk group,” he wrote. “It is a ‘bummer’ to have one’s activities restricted when one feels able to get around. But that is where things seem to be.

“How was the coronavirus pandemic affecting my work?” he wanted to know. “While you work from home, I imagine there is still some effect on the amount of work coming to you,” he wrote. “Or is it growing because you do work from home and aren’t affected by the concept of ‘self-quarantine’?”

To the latter question, I replied, “Thus far my work remains quite hectic. I just finished working on a chapter of a book that had to be done in 10 days. (And) I’m down to the final material on the memoir of a retired businessman.

“I warned from the beginning he would need to self-publish, but a publisher I work with agreed to look at several chapters, even though I warned he didn’t have a speaking platform or social media presence. The virus may ultimately scuttle our chances, but it was a triumph just to get them to consider looking at it.”

Before ending my reply, I added a note about my wife’s concerns for more donations to our church’s food pantry. Its reserves were nearly depleted at a time when needs are increasing.

Walking by Faith

Later that day, I sent my friend a follow-up report.

A nearby Catholic church that donates canned goods hasn’t collected any lately. Because of restrictions on bulk food purchases, they weren’t able to buy it in quantity, either.

The morning I emailed my friend, the church’s secretary called my wife. The priest directed her to make a sizable donation to our pantry.

Just like that, reserves were boosted to sustainability.

In reply, my friend thanked me for sharing the story. Then he added his own about a small group of men from his church who had been making pizzas for their local food bank.

“When the food bank changed to a ‘drive through’ operation because of the coronavirus, we stopped making pizzas, thinking that the food bank would not be able to distribute them as frozen food,” my friend said.

“Apparently we were mistaken,” he added. “We go back to producing pizzas for ‘carry out’ this week.”

Those kinds of things happen when you walk by faith, not by sight.